-- Work order --
Say how many lines of the entries further down hold the word "C53H116Cl4Cu3N8O19P2", as a bare number.

-- Material --
- - -
[1]
{
  "formula": "C31H21Br3N4O5S3W",
  "method": "ωB97M-V/def2-TZVPD",
  "total_energy_ha": -10772.4437,
  "homo_energy_ev": -13.246,
  "total_charge": 2,
  "de_lowest_kj_mol": 87.3,
  "symbols": ["W", "O", "C", "C", "C", "C", "C", "C", "C", "O", "N", "N", "C", "S", "C", "C", "S", "H", "H", "H", "H", "H", "H", "H", "H", "H", "Br", "C", "C", "C", "Br", "C", "C", "C", "C", "N", "C", "C", "O", "H", "H", "H", "H", "O", "C", "O", "C", "C", "C", "C", "C", "C", "S", "H", "H", "H", "H", "Br", "C", "C", "C", "C", "C", "N", "H", "H", "H", "H"],
  "coordinates": [[-0.608, -0.059, 0.634], [0.691, -3.710, -0.249], [1.641, -3.605, -1.219], [2.257, -4.727, -1.758], [3.242, -4.589, -2.719], [3.633, -3.329, -3.161], [3.025, -2.212, -2.627], [2.023, -2.332, -1.659], [1.435, -1.118, -1.103], [0.141, -1.167, -0.711], [2.040, 0.002, -1.025], [1.182, 1.016, -0.596], [1.795, 2.174, -0.655], [0.931, 3.669, -0.563], [2.417, 4.682, -0.338], [3.511, 4.078, -1.190], [3.494, 2.278, -0.962], [0.675, -4.612, 0.091], [1.968, -5.713, -1.412], [3.710, -5.475, -3.126], [4.402, -3.226, -3.912], [3.317, -1.222, -2.951], [2.678, 4.675, 0.721], [2.173, 5.697, -0.646], [4.494, 4.437, -0.889], [3.363, 4.292, -2.248], [-2.738, -1.656, 4.911], [-3.255, -2.125, 3.185], [-4.321, -3.037, 2.980], [-4.712, -3.409, 1.725], [-6.122, -4.628, 1.512], [-4.053, -2.884, 0.571], [-4.323, -3.190, -0.771], [-3.560, -2.607, -1.762], [-2.547, -1.716, -1.426], [-2.284, -1.380, -0.169], [-3.013, -1.975, 0.807], [-2.620, -1.606, 2.093], [-1.599, -0.732, 2.109], [-4.825, -3.444, 3.845], [-5.116, -3.884, -1.017], [-3.731, -2.838, -2.804], [-1.926, -1.274, -2.195], [2.737, -0.933, 2.730], [1.969, -0.086, 2.426], [0.893, -0.414, 1.605], [2.003, 1.346, 2.790], [3.142, 1.743, 3.494], [3.307, 3.051, 3.905], [2.316, 3.984, 3.618], [1.182, 3.604, 2.921], [1.007, 2.285, 2.504], [-0.571, 2.014, 1.743], [3.894, 0.995, 3.705], [4.193, 3.342, 4.452], [2.425, 5.009, 3.945], [0.409, 4.332, 2.709], [-3.762, 1.431, 0.965], [-2.933, 1.736, -0.689], [-3.604, 2.502, -1.625], [-3.036, 2.687, -2.871], [-1.816, 2.077, -3.141], [-1.205, 1.344, -2.154], [-1.734, 1.180, -0.919], [-4.561, 2.936, -1.374], [-3.544, 3.283, -3.616], [-1.338, 2.169, -4.105], [-0.259, 0.863, -2.339]]
}

=====

[2]
{
  "formula": "F8K5N4NaO16S8",
  "method": "ωB97M-V/def2-TZVPD",
  "total_energy_ha": -8568.9747,
  "homo_energy_ev": -12.312,
  "total_charge": 2,
  "symbols": ["Na", "K", "K", "K", "K", "K", "N", "S", "O", "O", "F", "S", "O", "O", "F", "N", "S", "O", "O", "F", "S", "O", "O", "F", "N", "S", "O", "O", "F", "S", "O", "O", "F", "N", "S", "O", "O", "F", "S", "O", "O", "F"],
  "coordinates": [[-0.132, 31.743, 13.851], [-0.861, 36.100, 10.742], [-6.179, 30.249, 11.463], [-1.596, 32.851, 17.281], [-5.583, 29.211, 15.916], [-5.437, 35.720, 15.088], [-9.384, 34.814, 10.757], [-8.062, 35.152, 11.489], [-8.152, 35.233, 12.928], [-7.164, 36.087, 10.874], [-7.311, 33.717, 11.299], [-10.260, 36.227, 10.919], [-9.710, 37.323, 10.203], [-10.826, 36.324, 12.218], [-11.466, 35.783, 10.008], [-4.173, 33.962, 13.484], [-4.021, 33.798, 11.896], [-4.588, 32.606, 11.363], [-2.737, 34.209, 11.380], [-4.921, 34.959, 11.488], [-3.706, 32.524, 14.074], [-2.360, 32.163, 13.712], [-4.680, 31.498, 14.218], [-3.526, 33.068, 15.559], [-0.728, 29.198, 14.023], [-2.102, 28.399, 13.812], [-3.240, 29.008, 14.459], [-2.052, 26.988, 13.773], [-2.256, 28.811, 12.279], [-0.603, 29.083, 15.673], [-0.627, 27.772, 16.190], [-1.305, 30.136, 16.361], [0.913, 29.537, 15.784], [-6.668, 32.764, 19.372], [-7.491, 31.559, 18.728], [-6.675, 30.477, 18.232], [-8.580, 31.961, 17.903], [-8.173, 31.055, 20.033], [-5.791, 33.287, 18.121], [-6.521, 33.853, 17.020], [-4.570, 32.565, 17.849], [-5.213, 34.570, 18.856]]
}

=====

[3]
{
  "formula": "C53H116Cl4Cu3N8O19P2",
  "method": "ωB97M-V/def2-TZVPD",
  "total_energy_ha": -11400.8294,
  "homo_energy_ev": -3.022,
  "total_charge": -1,
- - -

-- Response --
1